Material:
........
# TbSmGe2Os
Theoretical X-ray powder pattern, λ = 1.5418 Å (Cu Kα). Input: a PBE-relaxed structure.

Most intense lines, 5° ≤ 2θ ≤ 70°, sorted by position:
- d 9.047, rel. 52
- d 3.312, rel. 28
- d 2.771, rel. 34
- d 2.730, rel. 64
- d 2.722, rel. 88
- d 2.659, rel. 44
- d 2.482, rel. 76
- d 2.260, rel. 100
- d 2.165, rel. 61
- d 1.468, rel. 30

Structure:
a = 5.8747 Å, b = 5.8747 Å, c = 10.2861 Å
α = 116.25°, β = 116.25°, γ = 43.24°
Sites, in units of the cell vectors:
Tb (0.0029, 0.0029, 0.1738)
Tb (0.9971, 0.9971, 0.8262)
Sm (0.1863, 0.1863, 0.6133)
Sm (0.8137, 0.8137, 0.3866)
Ge (0.3561, 0.3561, 0.9378)
Ge (0.4928, 0.4928, 0.6284)
Ge (0.5072, 0.5072, 0.3716)
Ge (0.6439, 0.6439, 0.0622)
Os (0.2701, 0.2701, 0.1277)
Os (0.7299, 0.7299, 0.8723)


# Tb3Ge13Os4
Theoretical X-ray powder pattern, λ = 1.5418 Å (Cu Kα). Input: a PBE-relaxed structure.

Most intense lines, 5° ≤ 2θ ≤ 70°, sorted by position:
- d 4.538, rel. 49
- d 3.209, rel. 24
- d 2.620, rel. 53
- d 2.517, rel. 100
- d 2.426, rel. 37
- d 2.269, rel. 60
- d 2.029, rel. 36
- d 1.853, rel. 53
- d 1.604, rel. 22
- d 1.368, rel. 38

Structure:
a = 9.0761 Å, b = 9.0761 Å, c = 9.0761 Å
α = 90.00°, β = 90.00°, γ = 90.00°
Sites, in units of the cell vectors:
Tb (0.0000, 0.2500, 0.5000)
Tb (0.0000, 0.7500, 0.5000)
Tb (0.2500, 0.5000, 0.0000)
Tb (0.5000, 0.0000, 0.2500)
Tb (0.5000, 0.0000, 0.7500)
Tb (0.7500, 0.5000, 0.0000)
Ge (0.0000, 0.0000, 0.0000)
Ge (0.0000, 0.2976, 0.1449)
Ge (0.0000, 0.2976, 0.8551)
Ge (0.0000, 0.7024, 0.1449)
Ge (0.0000, 0.7024, 0.8551)
Ge (0.1449, 0.0000, 0.2976)
Ge (0.1449, 0.0000, 0.7024)
Ge (0.2024, 0.5000, 0.3551)
Ge (0.2024, 0.5000, 0.6449)
Ge (0.2976, 0.1449, 0.0000)
Ge (0.2976, 0.8551, 0.0000)
Ge (0.3551, 0.2024, 0.5000)
Ge (0.3551, 0.7976, 0.5000)
Ge (0.5000, 0.3551, 0.2024)
Ge (0.5000, 0.3551, 0.7976)
Ge (0.5000, 0.5000, 0.5000)
Ge (0.5000, 0.6449, 0.2024)
Ge (0.5000, 0.6449, 0.7976)
Ge (0.6449, 0.2024, 0.5000)
Ge (0.6449, 0.7976, 0.5000)
Ge (0.7024, 0.1449, 0.0000)
Ge (0.7024, 0.8551, 0.0000)
Ge (0.7976, 0.5000, 0.3551)
Ge (0.7976, 0.5000, 0.6449)
Ge (0.8551, 0.0000, 0.2976)
Ge (0.8551, 0.0000, 0.7024)
Os (0.2500, 0.2500, 0.2500)
Os (0.2500, 0.2500, 0.7500)
Os (0.2500, 0.7500, 0.2500)
Os (0.2500, 0.7500, 0.7500)
Os (0.7500, 0.2500, 0.2500)
Os (0.7500, 0.2500, 0.7500)
Os (0.7500, 0.7500, 0.2500)
Os (0.7500, 0.7500, 0.7500)
........
To do:
Repeat the rows further up without additions, please.
Reply:
# TbSmGe2Os
Theoretical X-ray powder pattern, λ = 1.5418 Å (Cu Kα). Input: a PBE-relaxed structure.

Most intense lines, 5° ≤ 2θ ≤ 70°, sorted by position:
- d 9.047, rel. 52
- d 3.312, rel. 28
- d 2.771, rel. 34
- d 2.730, rel. 64
- d 2.722, rel. 88
- d 2.659, rel. 44
- d 2.482, rel. 76
- d 2.260, rel. 100
- d 2.165, rel. 61
- d 1.468, rel. 30

Structure:
a = 5.8747 Å, b = 5.8747 Å, c = 10.2861 Å
α = 116.25°, β = 116.25°, γ = 43.24°
Sites, in units of the cell vectors:
Tb (0.0029, 0.0029, 0.1738)
Tb (0.9971, 0.9971, 0.8262)
Sm (0.1863, 0.1863, 0.6133)
Sm (0.8137, 0.8137, 0.3866)
Ge (0.3561, 0.3561, 0.9378)
Ge (0.4928, 0.4928, 0.6284)
Ge (0.5072, 0.5072, 0.3716)
Ge (0.6439, 0.6439, 0.0622)
Os (0.2701, 0.2701, 0.1277)
Os (0.7299, 0.7299, 0.8723)


# Tb3Ge13Os4
Theoretical X-ray powder pattern, λ = 1.5418 Å (Cu Kα). Input: a PBE-relaxed structure.

Most intense lines, 5° ≤ 2θ ≤ 70°, sorted by position:
- d 4.538, rel. 49
- d 3.209, rel. 24
- d 2.620, rel. 53
- d 2.517, rel. 100
- d 2.426, rel. 37
- d 2.269, rel. 60
- d 2.029, rel. 36
- d 1.853, rel. 53
- d 1.604, rel. 22
- d 1.368, rel. 38

Structure:
a = 9.0761 Å, b = 9.0761 Å, c = 9.0761 Å
α = 90.00°, β = 90.00°, γ = 90.00°
Sites, in units of the cell vectors:
Tb (0.0000, 0.2500, 0.5000)
Tb (0.0000, 0.7500, 0.5000)
Tb (0.2500, 0.5000, 0.0000)
Tb (0.5000, 0.0000, 0.2500)
Tb (0.5000, 0.0000, 0.7500)
Tb (0.7500, 0.5000, 0.0000)
Ge (0.0000, 0.0000, 0.0000)
Ge (0.0000, 0.2976, 0.1449)
Ge (0.0000, 0.2976, 0.8551)
Ge (0.0000, 0.7024, 0.1449)
Ge (0.0000, 0.7024, 0.8551)
Ge (0.1449, 0.0000, 0.2976)
Ge (0.1449, 0.0000, 0.7024)
Ge (0.2024, 0.5000, 0.3551)
Ge (0.2024, 0.5000, 0.6449)
Ge (0.2976, 0.1449, 0.0000)
Ge (0.2976, 0.8551, 0.0000)
Ge (0.3551, 0.2024, 0.5000)
Ge (0.3551, 0.7976, 0.5000)
Ge (0.5000, 0.3551, 0.2024)
Ge (0.5000, 0.3551, 0.7976)
Ge (0.5000, 0.5000, 0.5000)
Ge (0.5000, 0.6449, 0.2024)
Ge (0.5000, 0.6449, 0.7976)
Ge (0.6449, 0.2024, 0.5000)
Ge (0.6449, 0.7976, 0.5000)
Ge (0.7024, 0.1449, 0.0000)
Ge (0.7024, 0.8551, 0.0000)
Ge (0.7976, 0.5000, 0.3551)
Ge (0.7976, 0.5000, 0.6449)
Ge (0.8551, 0.0000, 0.2976)
Ge (0.8551, 0.0000, 0.7024)
Os (0.2500, 0.2500, 0.2500)
Os (0.2500, 0.2500, 0.7500)
Os (0.2500, 0.7500, 0.2500)
Os (0.2500, 0.7500, 0.7500)
Os (0.7500, 0.2500, 0.2500)
Os (0.7500, 0.2500, 0.7500)
Os (0.7500, 0.7500, 0.2500)
Os (0.7500, 0.7500, 0.7500)